## Excerpt
┌──
Material: Nd3ScTl2
Method: DFT, PBE
State: optimized geometry

Output
* DFT total energy: -4.46 eV/atom
* Fermi-level density of states: 29.1 states/eV per cell
* formation enthalpy at 0 K: -0.234 eV per atom

a b c (Å): 6.662 16.712 6.611
angles (deg): 90.00 90.00 90.00
Space group Ibam (No. 72)
Inequivalent atoms, fractional coordinates:
Nd (0.000, 0.000, 0.250)
Nd (0.248, 0.324, 0.000)
Sc (0.000, 0.500, 0.250)
Tl (0.234, 0.368, 0.500)


(1)
Computed, not measured: a geometry-optimized Tc2GeI structure at the PBE level of DFT.

Unit cell a=4.525 b=4.525 c=4.525 alpha=60.00 beta=60.00 gamma=60.00
Positions (direct):
I1 0.500 0.500 0.500
Ge1 0.000 0.000 0.000
Tc1 0.250 0.250 0.250
Tc2 0.750 0.750 0.750

Volume: 16.4 A^3/atom
Total moment: 0.00 μB/cell
Formation energy without anion corrections: 0.60 eV/atom
ΔE to the lowest computed polymorph: 0.00 eV per formula unit

---

(2)
Computed, not measured: a geometry-optimized CaPuInAg structure at the PBE level of DFT.

Unit cell a=5.334 b=5.334 c=5.334 alpha=60.00 beta=60.00 gamma=60.00
Last column: magnetic moment on the atom in μB.
Positions (direct):
Ca1 0.500 0.500 0.500  0.01
In1 0.750 0.750 0.750  0.01
Ag1 0.250 0.250 0.250  0.02
Pu1 0.000 0.000 0.000  5.42

Formation energy from the elements: -127 meV per atom
Volume: 26.8 A^3/atom
Total moment: 5.79 μB/cell

---

(3)
Computed, not measured: a geometry-optimized SrCrPt2 structure at the PBE level of DFT.

Unit cell a=3.292 b=3.292 c=7.189 alpha=90.00 beta=90.00 gamma=90.00
Last column: magnetic moment on the atom in μB.
Positions (direct):
Cr1 0.500 0.500 0.750  2.97
Pt1 0.000 0.000 0.943  0.00
Pt2 0.000 0.000 0.557  0.00
Sr1 0.500 0.500 0.250  0.01

Formation energy from the elements: -289 meV per atom
Volume: 19.5 A^3/atom
Total moment: 3.25 μB/cell
ΔE to the lowest computed polymorph: 0.57 eV per formula unit

---

(4)
Computed, not measured: a geometry-optimized Sm2CdHPd6 structure at the PBE level of DFT.

Unit cell a=5.675 b=7.208 c=7.213 alpha=47.46 beta=65.91 gamma=90.22
Positions (direct):
Sm1 0.691 0.247 0.555
Sm2 0.309 0.753 0.445
Cd1 0.000 0.000 0.000
H1 0.500 0.500 0.000
Pd1 0.224 0.180 0.464
Pd2 0.684 0.705 0.021
Pd3 0.224 0.689 0.955
Pd4 0.776 0.311 0.045
Pd5 0.316 0.295 0.979
Pd6 0.776 0.820 0.536

Total DFT energy (no corrections): -5.062 eV per atom
Volume: 18.1 A^3/atom
Total moment: 0.00 μB/cell

---

(5)
Computed, not measured: a geometry-optimized BaZrRu2 structure at the PBE level of DFT.

Unit cell a=5.127 b=5.127 c=9.483 alpha=74.32 beta=74.32 gamma=90.00
Positions (direct):
Ru1 0.375 0.125 0.250
Ru2 0.375 0.625 0.250
Ru3 0.375 0.625 0.750
Ru4 0.875 0.625 0.750
Ba1 0.000 0.000 0.000
Ba2 0.750 0.250 0.500
Zr1 0.500 0.500 0.000
Zr2 0.250 0.750 0.500

Formation energy from the elements: 601 meV per atom
Volume: 28.8 A^3/atom
Total moment: 0.00 μB/cell
ΔE to the lowest computed polymorph: 1.89 eV per formula unit

---

(6)
Computed, not measured: a geometry-optimized PrURu4 structure at the PBE level of DFT.

Unit cell a=5.359 b=5.359 c=5.359 alpha=60.00 beta=60.00 gamma=60.00
Last column: magnetic moment on the atom in μB.
Positions (direct):
Pr1 0.000 0.000 0.000  0.05
Ru1 0.625 0.625 0.126  -0.11
Ru2 0.625 0.126 0.625  -0.11
Ru3 0.625 0.625 0.625  -0.11
Ru4 0.126 0.625 0.625  -0.11
U1 0.250 0.250 0.250  1.73

Formation energy from the elements: -59 meV per atom
Volume: 18.1 A^3/atom
Total moment: 1.55 μB/cell
ΔE to the lowest computed polymorph: 0.00 eV per formula unit


(1)
The following is a DFT calculation (PBE with a Hubbard U) of a relaxed structure of Mg6MnVO8.

Results
- Space-group type: P4/mmm, No. 123
- Total energy: -6.429 eV/atom

Cell and atoms, written as CIF:
```
data_Mg6MnVO8
_chemical_formula_sum 'Mg6 Mn1 V1 O8'
_cell_length_a 4.3177
_cell_length_b 4.3177
_cell_length_c 8.6495
_cell_angle_alpha 90.00
_cell_angle_beta 90.00
_cell_angle_gamma 90.00
_space_group_name_H-M_alt 'P 1'
_space_group_IT_number 1
loop_
_space_group_symop_operation_xyz
'x,y,z'
loop_
_atom_site_label
└──

## Assignment
Now copy the lines further above from the one with "(6)" to the one with "DFT calculation" word for word.

## Here it is
(6)
Computed, not measured: a geometry-optimized PrURu4 structure at the PBE level of DFT.

Unit cell a=5.359 b=5.359 c=5.359 alpha=60.00 beta=60.00 gamma=60.00
Last column: magnetic moment on the atom in μB.
Positions (direct):
Pr1 0.000 0.000 0.000  0.05
Ru1 0.625 0.625 0.126  -0.11
Ru2 0.625 0.126 0.625  -0.11
Ru3 0.625 0.625 0.625  -0.11
Ru4 0.126 0.625 0.625  -0.11
U1 0.250 0.250 0.250  1.73

Formation energy from the elements: -59 meV per atom
Volume: 18.1 A^3/atom
Total moment: 1.55 μB/cell
ΔE to the lowest computed polymorph: 0.00 eV per formula unit


(1)
The following is a DFT calculation (PBE with a Hubbard U) of a relaxed structure of Mg6MnVO8.